Wanted:
Please copy the lines underneath from the one with "0.473 0.750" to the one with "0.254 0.958" word for word.

Listing:
-- begin --
# KGaF4

A relaxed KGaF4 crystal (r²SCAN, the Materials Project).

Output
Volume (A^3/atom): 14.503
SG: Pnma, No. 62
Crystal system: orthorhombic
Total magnetic moment (μB/f.u.): 0.000
Formation energy (eV/f.u.): -18.0

Structure (POSCAR):
```
KGaF4
1.0
12.131 0.000 0.000
0.000 7.490 0.000
0.000 0.000 7.661
K Ga F
8 8 32
direct
0.014 0.250 0.125 K
0.027 0.250 0.626 K
0.473 0.750 0.126 K
0.486 0.750 0.625 K
0.514 0.250 0.375 K
0.527 0.250 0.874 K
0.973 0.750 0.374 K
0.986 0.750 0.875 K
0.248 0.501 0.375 Ga
0.248 0.999 0.375 Ga
0.252 0.001 0.875 Ga
0.252 0.499 0.875 Ga
0.748 0.501 0.125 Ga
0.748 0.999 0.125 Ga
0.752 0.001 0.625 Ga
0.752 0.499 0.625 Ga
0.099 0.045 0.365 F
0.099 0.455 0.365 F
0.103 0.047 0.885 F
0.103 0.453 0.885 F
0.213 0.750 0.413 F
0.217 0.750 0.837 F
0.246 0.042 0.625 F
0.246 0.458 0.625 F
0.254 0.542 0.125 F
0.254 0.958 0.125 F
0.283 0.250 0.337 F
0.287 0.250 0.913 F
0.397 0.547 0.385 F
0.397 0.953 0.385 F
0.401 0.545 0.865 F
0.401 0.955 0.865 F
0.599 0.045 0.135 F
0.599 0.455 0.135 F
0.603 0.047 0.615 F
0.603 0.453 0.615 F
0.713 0.750 0.087 F
0.717 0.750 0.663 F
0.746 0.042 0.875 F
0.746 0.458 0.875 F
0.754 0.542 0.375 F
0.754 0.958 0.375 F
0.783 0.250 0.163 F
0.787 0.250 0.587 F
0.897 0.547 0.115 F
0.897 0.953 0.115 F
0.901 0.545 0.635 F
0.901 0.955 0.635 F
```
-- stop --

Completed:
0.473 0.750 0.126 K
0.486 0.750 0.625 K
0.514 0.250 0.375 K
0.527 0.250 0.874 K
0.973 0.750 0.374 K
0.986 0.750 0.875 K
0.248 0.501 0.375 Ga
0.248 0.999 0.375 Ga
0.252 0.001 0.875 Ga
0.252 0.499 0.875 Ga
0.748 0.501 0.125 Ga
0.748 0.999 0.125 Ga
0.752 0.001 0.625 Ga
0.752 0.499 0.625 Ga
0.099 0.045 0.365 F
0.099 0.455 0.365 F
0.103 0.047 0.885 F
0.103 0.453 0.885 F
0.213 0.750 0.413 F
0.217 0.750 0.837 F
0.246 0.042 0.625 F
0.246 0.458 0.625 F
0.254 0.542 0.125 F
0.254 0.958 0.125 F